**File:**
┌──
1.
DFT (GGA-PBE) results for Ba4As2Cl after structural relaxation.

Unit cell a=4.7669 b=4.7669 c=16.1482 alpha=81.51 beta=81.51 gamma=60.00
Sites, in units of the cell vectors:
As: 0.4140 0.4140 0.7580
As: 0.5860 0.5860 0.2420
Ba: 0.1173 0.1173 0.6482
Ba: 0.2894 0.2894 0.1318
Ba: 0.7106 0.7106 0.8682
Ba: 0.8827 0.8827 0.3518
Cl: 0.0000 0.0000 0.0000

M_tot in μB/f.u.: 0.00
Space group: R-3m, No. 166
Uncorrected formation energy in kcal/mol of atoms: -31.0



2.
DFT (GGA-PBE) results for LiCo2Hg after structural relaxation.

Unit cell a=8.8570 b=8.8570 c=8.8570 alpha=18.27 beta=18.27 gamma=18.27
Site moments in Bohr magnetons follow the coordinates.
Sites, in units of the cell vectors:
Co: 0.9940 0.9940 0.9940  1.73
Co: 0.2610 0.2610 0.2610  1.71
Hg: 0.5025 0.5025 0.5025  0.00
Li: 0.7425 0.7425 0.7425  -0.02

M_tot in μB/f.u.: 3.32
Energy of formation in meV/atom: 292.5
Space group: R3m, No. 160



3.
DFT (GGA-PBE) results for Er2Tm5In2 after structural relaxation.

Unit cell a=10.3908 b=6.4645 c=9.9481 alpha=108.96 beta=121.48 gamma=90.00
Sites, in units of the cell vectors:
Er: 0.0000 0.9889 0.0000
Er: 0.5000 0.4889 0.0000
Er: 0.2339 0.4283 0.5000
Er: 0.7661 0.9283 0.5000
Tm: 0.1891 0.6398 0.8883
Tm: 0.8109 0.7514 0.1117
Tm: 0.1992 0.1398 0.8883
Tm: 0.8008 0.2514 0.1117
Tm: 0.3468 0.9869 0.3015
Tm: 0.6532 0.6853 0.6985
Tm: 0.4548 0.4869 0.3015
Tm: 0.5452 0.1853 0.6985
Tm: 0.1427 0.9385 0.5000
Tm: 0.8573 0.4385 0.5000
In: 0.1167 0.5473 0.1777
In: 0.8833 0.3696 0.8223
In: 0.5610 0.0473 0.1777
In: 0.4390 0.8696 0.8223

M_tot in μB/f.u.: 0.00
Energy of formation in meV/atom: -16.5
Space group: Ima2, No. 46



4.
DFT (GGA-PBE) results for LiAg2IO4 after structural relaxation.

Unit cell a=5.4005 b=5.9313 c=5.6092 alpha=128.32 beta=125.54 gamma=79.10
Sites, in units of the cell vectors:
Li: 0.9917 0.4919 0.9836
Ag: 0.5186 0.0186 0.0372
Ag: 0.2690 0.2690 0.5380
I: 0.7846 0.7847 0.5693
O: 0.6193 0.5463 0.6111
O: 0.8339 0.4480 0.2120
O: 0.3782 0.7638 0.2120
O: 0.9917 0.0648 0.6110

M_tot in μB/f.u.: 0.00
Space group: C2, No. 5
Uncorrected formation energy in kcal/mol of atoms: -12.3



5.
DFT (GGA-PBE) results for NaZn2Cd10 after structural relaxation.

Unit cell a=5.8024 b=7.6778 c=7.6173 alpha=81.73 beta=67.61 gamma=67.80
Sites, in units of the cell vectors:
Na: 0.0000 0.0000 0.0000
Zn: 0.0000 0.5000 0.0000
Zn: 0.5000 0.5000 0.0000
Cd: 0.3470 0.6438 0.6622
Cd: 0.6530 0.3562 0.3378
Cd: 0.9908 0.3562 0.6622
Cd: 0.0092 0.6438 0.3378
Cd: 0.0000 0.0000 0.5000
Cd: 0.5000 0.0000 0.5000
Cd: 0.2838 0.2234 0.2090
Cd: 0.7162 0.7766 0.7910
Cd: 0.5072 0.7766 0.2090
Cd: 0.4928 0.2234 0.7910

M_tot in μB/f.u.: 0.00
Energy of formation in meV/atom: -3.6
Space group: Fmmm, No. 69



6.
DFT (GGA-PBE) results for BAsRhBr2 after structural relaxation.

Unit cell a=5.2853 b=5.2853 c=4.5994 alpha=90.00 beta=90.00 gamma=90.00
Sites, in units of the cell vectors:
As: 0.0000 0.0000 0.5000
B: 0.5000 0.5000 0.5000
Rh: 0.0000 0.0000 0.0000
Br: 0.0000 0.5000 0.0000
Br: 0.5000 0.0000 0.0000

M_tot in μB/f.u.: 0.00
Space group: P4/mmm, No. 123
Uncorrected formation energy in kcal/mol of atoms: 24.3
Energy above the lowest structure with this stoichiometry in meV/atom: 0



7.
DFT (GGA-PBE) results for Gd2HgRh after structural relaxation.

Unit cell a=5.1052 b=5.1052 c=5.1052 alpha=60.00 beta=60.00 gamma=60.00
Site moments in Bohr magnetons follow the coordinates.
Sites, in units of the cell vectors:
Gd: 0.2500 0.2500 0.2500  -7.00
Gd: 0.7500 0.7500 0.7500  -7.00
Rh: 0.5000 0.5000 0.5000  0.09
Hg: 0.0000 0.0000 0.0000  0.00

M_tot in μB/f.u.: 14.18
Energy of formation in meV/atom: -580.0
Space group: Fm-3m, No. 225
Energy above the lowest structure with this stoichiometry in meV/atom: 76



8.
DFT (GGA-PBE) results for Si2AsAu after structural relaxation.

Unit cell a=2.7368 b=3.3989 c=7.4316 alpha=90.00 beta=90.00 gamma=90.00
Sites, in units of the cell vectors:
As: 0.0000 0.0000 0.4777
Au: 0.5000 0.5000 0.7742
Si: 0.0000 0.0000 0.0102
Si: 0.5000 0.5000 0.2379
└──

**What to do:**
Retype only the lines further above with the word "Cl" in them, please.

**Solution:**
Cl: 0.0000 0.0000 0.0000